_To do_
Duplicate the whole of the material below exactly.

_Contents_
# 1
The following is a PBE-GGA calculation of a relaxed TaCdAu3 crystal, from the Alexandria database.

a b c (Å): 5.1564 5.1564 5.1564
angles (deg): 90.00 90.00 90.00
With the nearest neighbours (Å) after each atom.
Atoms (fractional coordinates):
Cd1 0.5000 0.5000 0.5000  12 Au 3.65
Au1 0.0000 0.5000 0.0000  2 Ta 2.58
Au2 0.0000 0.0000 0.5000  2 Ta 2.58
Au3 0.5000 0.0000 0.0000  2 Ta 2.58
Ta1 0.0000 0.0000 0.0000  6 Au 2.58

* total energy: -3.711 eV/atom
* energy of formation from the pure elements: 0.8086 eV per atom
* volume: 137.10 Å³ per cell
* E above lowest polymorph: 0 meV/atom
* space-group type: No. 221


# 2
The following is a PBE-GGA calculation of a relaxed Ta2CdAu crystal, from the Alexandria database.

a b c (Å): 5.7310 5.7310 5.7310
angles (deg): 149.23 127.44 62.15
With the nearest neighbours (Å) after each atom.
Atoms (fractional coordinates):
Cd1 0.2583 0.7583 0.5000  2 Au 2.90, 6 Ta 2.96-3.09, 2 Cd 3.04
Ta1 0.9845 0.9845 0.0000  4 Ta 2.78-3.04, 4 Au 2.97, 2 Cd 3.09
Ta2 0.7475 0.2475 0.5000  4 Ta 2.78-3.04, 2 Au 2.79, 4 Cd 2.96
Au1 0.5097 0.5097 0.0000  6 Ta 2.79-2.97, 2 Cd 2.90, 2 Au 3.04

* total energy: -6.766 eV/atom
* energy of formation from the pure elements: 0.2082 eV per atom
* volume: 75.75 Å³ per cell
* space-group type: No. 44


# 3
The following is a PBE-GGA calculation of a relaxed Ta2CdAu crystal, from the Alexandria database.

a b c (Å): 4.5070 2.8086 6.0521
angles (deg): 76.43 90.00 90.00
With the nearest neighbours (Å) after each atom.
Atoms (fractional coordinates):
Cd1 0.5000 0.5581 0.7568  2 Au 2.75, 2 Cd 2.81, 5 Ta 2.94-3.01
Ta1 0.5000 0.3094 0.2571  6 Ta 2.81-3.07, 1 Cd 2.94, 4 Au 2.98-2.99
Ta2 0.0000 0.9380 0.9976  6 Ta 2.81-3.07, 1 Au 2.89, 4 Cd 3.01
Au1 0.0000 0.6946 0.4885  2 Cd 2.75, 2 Au 2.81, 5 Ta 2.89-2.99

* total energy: -6.795 eV/atom
* energy of formation from the pure elements: 0.1790 eV per atom
* volume: 74.47 Å³ per cell
* space-group type: No. 6


# 4
The following is a PBE-GGA calculation of a relaxed TaCd2Au crystal, from the Alexandria database.

a b c (Å): 7.7202 7.7202 6.1528
angles (deg): 51.14 51.14 90.00
With the nearest neighbours (Å) after each atom.
Atoms (fractional coordinates):
Cd1 0.3750 0.3631 0.7500  2 Au 2.76, 2 Cd 2.84, 2 Ta 2.88
Cd2 0.6369 0.1250 0.2500  2 Au 2.76, 2 Cd 2.84, 2 Ta 2.88
Cd3 0.8750 0.8869 0.7500  2 Au 2.76, 2 Cd 2.84, 2 Ta 2.88
Cd4 0.1131 0.6250 0.2500  2 Au 2.76, 2 Cd 2.84, 2 Ta 2.88
Ta1 0.2500 0.7500 0.5000  2 Au 2.84, 4 Cd 2.88
Ta2 0.5000 0.5000 0.0000  2 Au 2.84, 4 Cd 2.88
Au1 0.0000 0.0000 0.0000  4 Cd 2.76, 2 Ta 2.84
Au2 0.7500 0.2500 0.5000  4 Cd 2.76, 2 Ta 2.84

* total energy: -3.662 eV/atom
* energy of formation from the pure elements: 0.5784 eV per atom
* volume: 169.17 Å³ per cell
* E above lowest polymorph: 537 meV/atom
* space-group type: No. 122


# 5
The following is a PBE-GGA calculation of a relaxed Ta2CdAu crystal, from the Alexandria database.

a b c (Å): 2.9044 2.9045 8.7088
angles (deg): 90.00 90.00 90.04
With the nearest neighbours (Å) after each atom.
Atoms (fractional coordinates):
Cd1 0.5000 0.5000 0.7500  4 Cd 2.90, 8 Ta 3.06
Ta1 0.0000 0.0000 0.0100  4 Ta 2.90, 4 Au 2.93, 4 Cd 3.06
Ta2 0.0000 0.0000 0.4900  4 Ta 2.90, 4 Au 2.93, 4 Cd 3.06
Au1 0.5000 0.5000 0.2500  4 Au 2.90, 8 Ta 2.93

* total energy: -6.817 eV/atom
* energy of formation from the pure elements: 0.1570 eV per atom
* volume: 73.47 Å³ per cell
* space-group type: No. 123


# 6
The following is a PBE-GGA calculation of a relaxed TaCd2Au crystal, from the Alexandria database.

a b c (Å): 4.4800 2.9112 6.1630
angles (deg): 75.63 90.00 90.00
With the nearest neighbours (Å) after each atom.
Atoms (fractional coordinates):
Au1 0.5000 0.9500 0.7174  3 Cd 2.84-2.85, 4 Ta 2.89-2.90, 2 Au 2.91
Cd1 0.5000 0.1953 0.2413  1 Au 2.84, 6 Cd 2.91-3.02, 2 Ta 3.17
Cd2 0.0000 0.8071 0.0112  2 Au 2.85, 6 Cd 2.91-3.02, 1 Ta 3.10
Ta1 0.0000 0.5475 0.5301  4 Au 2.89-2.90, 2 Ta 2.91, 7 Cd 3.10-3.24

* total energy: -4.097 eV/atom

_Written answer_
# 1
The following is a PBE-GGA calculation of a relaxed TaCdAu3 crystal, from the Alexandria database.

a b c (Å): 5.1564 5.1564 5.1564
angles (deg): 90.00 90.00 90.00
With the nearest neighbours (Å) after each atom.
Atoms (fractional coordinates):
Cd1 0.5000 0.5000 0.5000  12 Au 3.65
Au1 0.0000 0.5000 0.0000  2 Ta 2.58
Au2 0.0000 0.0000 0.5000  2 Ta 2.58
Au3 0.5000 0.0000 0.0000  2 Ta 2.58
Ta1 0.0000 0.0000 0.0000  6 Au 2.58

* total energy: -3.711 eV/atom
* energy of formation from the pure elements: 0.8086 eV per atom
* volume: 137.10 Å³ per cell
* E above lowest polymorph: 0 meV/atom
* space-group type: No. 221


# 2
The following is a PBE-GGA calculation of a relaxed Ta2CdAu crystal, from the Alexandria database.

a b c (Å): 5.7310 5.7310 5.7310
angles (deg): 149.23 127.44 62.15
With the nearest neighbours (Å) after each atom.
Atoms (fractional coordinates):
Cd1 0.2583 0.7583 0.5000  2 Au 2.90, 6 Ta 2.96-3.09, 2 Cd 3.04
Ta1 0.9845 0.9845 0.0000  4 Ta 2.78-3.04, 4 Au 2.97, 2 Cd 3.09
Ta2 0.7475 0.2475 0.5000  4 Ta 2.78-3.04, 2 Au 2.79, 4 Cd 2.96
Au1 0.5097 0.5097 0.0000  6 Ta 2.79-2.97, 2 Cd 2.90, 2 Au 3.04

* total energy: -6.766 eV/atom
* energy of formation from the pure elements: 0.2082 eV per atom
* volume: 75.75 Å³ per cell
* space-group type: No. 44


# 3
The following is a PBE-GGA calculation of a relaxed Ta2CdAu crystal, from the Alexandria database.

a b c (Å): 4.5070 2.8086 6.0521
angles (deg): 76.43 90.00 90.00
With the nearest neighbours (Å) after each atom.
Atoms (fractional coordinates):
Cd1 0.5000 0.5581 0.7568  2 Au 2.75, 2 Cd 2.81, 5 Ta 2.94-3.01
Ta1 0.5000 0.3094 0.2571  6 Ta 2.81-3.07, 1 Cd 2.94, 4 Au 2.98-2.99
Ta2 0.0000 0.9380 0.9976  6 Ta 2.81-3.07, 1 Au 2.89, 4 Cd 3.01
Au1 0.0000 0.6946 0.4885  2 Cd 2.75, 2 Au 2.81, 5 Ta 2.89-2.99

* total energy: -6.795 eV/atom
* energy of formation from the pure elements: 0.1790 eV per atom
* volume: 74.47 Å³ per cell
* space-group type: No. 6


# 4
The following is a PBE-GGA calculation of a relaxed TaCd2Au crystal, from the Alexandria database.

a b c (Å): 7.7202 7.7202 6.1528
angles (deg): 51.14 51.14 90.00
With the nearest neighbours (Å) after each atom.
Atoms (fractional coordinates):
Cd1 0.3750 0.3631 0.7500  2 Au 2.76, 2 Cd 2.84, 2 Ta 2.88
Cd2 0.6369 0.1250 0.2500  2 Au 2.76, 2 Cd 2.84, 2 Ta 2.88
Cd3 0.8750 0.8869 0.7500  2 Au 2.76, 2 Cd 2.84, 2 Ta 2.88
Cd4 0.1131 0.6250 0.2500  2 Au 2.76, 2 Cd 2.84, 2 Ta 2.88
Ta1 0.2500 0.7500 0.5000  2 Au 2.84, 4 Cd 2.88
Ta2 0.5000 0.5000 0.0000  2 Au 2.84, 4 Cd 2.88
Au1 0.0000 0.0000 0.0000  4 Cd 2.76, 2 Ta 2.84
Au2 0.7500 0.2500 0.5000  4 Cd 2.76, 2 Ta 2.84

* total energy: -3.662 eV/atom
* energy of formation from the pure elements: 0.5784 eV per atom
* volume: 169.17 Å³ per cell
* E above lowest polymorph: 537 meV/atom
* space-group type: No. 122


# 5
The following is a PBE-GGA calculation of a relaxed Ta2CdAu crystal, from the Alexandria database.

a b c (Å): 2.9044 2.9045 8.7088
angles (deg): 90.00 90.00 90.04
With the nearest neighbours (Å) after each atom.
Atoms (fractional coordinates):
Cd1 0.5000 0.5000 0.7500  4 Cd 2.90, 8 Ta 3.06
Ta1 0.0000 0.0000 0.0100  4 Ta 2.90, 4 Au 2.93, 4 Cd 3.06
Ta2 0.0000 0.0000 0.4900  4 Ta 2.90, 4 Au 2.93, 4 Cd 3.06
Au1 0.5000 0.5000 0.2500  4 Au 2.90, 8 Ta 2.93

* total energy: -6.817 eV/atom
* energy of formation from the pure elements: 0.1570 eV per atom
* volume: 73.47 Å³ per cell
* space-group type: No. 123


# 6
The following is a PBE-GGA calculation of a relaxed TaCd2Au crystal, from the Alexandria database.

a b c (Å): 4.4800 2.9112 6.1630
angles (deg): 75.63 90.00 90.00
With the nearest neighbours (Å) after each atom.
Atoms (fractional coordinates):
Au1 0.5000 0.9500 0.7174  3 Cd 2.84-2.85, 4 Ta 2.89-2.90, 2 Au 2.91
Cd1 0.5000 0.1953 0.2413  1 Au 2.84, 6 Cd 2.91-3.02, 2 Ta 3.17
Cd2 0.0000 0.8071 0.0112  2 Au 2.85, 6 Cd 2.91-3.02, 1 Ta 3.10
Ta1 0.0000 0.5475 0.5301  4 Au 2.89-2.90, 2 Ta 2.91, 7 Cd 3.10-3.24

* total energy: -4.097 eV/atom